When you start a hosting business you need to carefully consider the prices and plans that you set. There are many web hosting packages provided on the internet. Reading the previous article about Earning Money from Web Hosting will be useful for you to do market research before creating your plan so that you can differentiate your hosting package from the competitors.
Your services offering should be determined by the features, storage, bandwidth, or even support that you would like to provide to your clients. This post will guide you through the process of creating a package and hosting plan, as well as setting pricing.
Hosting Variables
Here are some common hosting variables you will see on hosting plans you should consider:
Unrelated to this piece: molecular data
-- begin --
Formula: C5H8N2O
Source: the OMol25 dataset
Level of theory: wB97M-V/def2-TZVPD

Each line ends with the natural charge from an NBO analysis.
Atoms and positions in Å:
1 C 0.1665 0.6311 0.5491  -0.124
2 C -0.6817 1.8748 0.5580  -0.631
3 C -0.0200 -0.6247 -1.8838  -0.663
4 C -0.1061 -0.3638 1.5966  0.736
5 C 0.6094 -0.2873 -0.5867  0.385
6 N 0.7469 -1.6023 0.7846  -0.865
7 N 1.4702 0.5946 -0.1385  -0.494
8 O -1.0227 -0.6146 2.2997  -0.513
9 H 0.3577 -2.5234 0.9337  0.387
10 H 1.7542 -1.5878 0.8682  0.398
11 H -1.0447 2.1459 1.5521  0.232
12 H -1.5539 1.7263 -0.0792  0.213
13 H -0.1363 2.7474 0.1984  0.230
14 H -0.5188 0.2533 -2.2928  0.247
15 H -0.7644 -1.4157 -1.7689  0.228
16 H 0.7438 -0.9539 -2.5906  0.234

The calculation puts the energy above the lowest of the compared OMol25 structures with the same formula, charge and spin at 85.3 kcal per mole. The value obtained for the LUMO energy is 0.0228 Eh. The calculation puts the HOMO-LUMO gap at 9.03 eV. The value obtained for the total energy is -379.95225 a.u. As for the multiplicity: 1.


Below is 9 unconnected molecules or ions with the total composition C45H61N3O26 in a non-equilibrium geometry, with properties calculated with ωB97M-V/def2-TZVPD.

```
! wB97M-V def2-TZVPD RIJCOSX def2/J DEFGRID3
* xyz 0 1
C -3.90958 2.78028 5.69532
C -4.47914 2.11278 4.69263
C -4.39571 0.62190 4.48462
C -3.03386 0.11310 3.97648
C -1.90181 0.67060 4.70607
N -1.09609 1.08679 5.39419
C -2.80330 0.26188 2.45436
C -3.88366 -0.40546 1.72064
N -4.70646 -0.93913 1.12955
C -1.49662 -0.43806 2.01753
C -1.37421 -1.94113 2.36541
C -0.18197 -2.16682 3.31437
N 0.98897 -2.70041 2.64933
C 1.53691 -1.84097 1.62513
C 2.40806 -0.64473 2.02231
C 2.89071 0.13155 0.96550
C 3.68556 1.25058 1.14065
C 4.00231 1.64979 2.43501
C 3.54429 0.90298 3.50820
C 2.77179 -0.24038 3.30866
O 2.37690 -0.97441 4.41053
C -2.77742 1.74512 2.00354
C -2.38292 1.95712 0.52185
C -0.93702 2.48967 0.41877
O 0.03153 1.49646 0.12501
C -0.08195 0.98227 -1.18169
H -3.64184 3.81795 5.54008
H -3.67165 2.34925 6.65886
H -5.08227 2.67339 3.98657
H -5.19803 0.31522 3.81748
H -4.58019 0.13427 5.44569
H -3.01941 -0.95991 4.17200
H -0.69077 0.15321 2.45622
H -1.38446 -0.34052 0.94454
H -2.27729 -2.35463 2.80822
H -1.23398 -2.47934 1.43169
H -0.48362 -2.89856 4.06642
H 0.00300 -1.24059 3.86870
H 1.67944 -3.03047 3.30234
H 2.15890 -2.46946 0.97910
H 0.75135 -1.45024 0.97844
H 2.64275 -0.16177 -0.04555
H 4.05849 1.81148 0.29560
H 4.60903 2.52376 2.62750
H 3.79577 1.20415 4.51740
H 2.57988 -0.43642 5.18427
H -2.12594 2.27828 2.69379
H -3.79002 2.12246 2.12832
H -3.04136 2.72041 0.11384
H -2.50479 1.03436 -0.03555
H -0.63385 3.00756 1.32458
H -0.87765 3.23591 -0.38167
H -0.85297 0.20547 -1.22080
H 0.85586 0.51352 -1.47366
H -0.34205 1.77805 -1.88715
C -5.53084 -5.17939 2.96407
C -4.69015 -4.35181 2.02169
O -3.35332 -4.72243 2.39755
C -3.40634 -5.94440 2.98060
O -2.45646 -6.60391 3.25459
O -4.69118 -6.31478 3.20837
H -6.47886 -5.48363 2.52917
H -5.72114 -4.67364 3.91337
-- stop --

Defining the Hosting Plans:
Plans should achieve the following:
- Simplify your product and invoice process by having predefined options.
- Maximize revenue by pushing clients further up the package tree and encouraging upgrades
- Including important features in plans that improve client experience
To create a hosting package, you need to understand the market and its needs. Then, identify the price and your profit based on the features or services that you will offer. For example, you can choose to have two different hosting packages: one that comes with website-building tools as part of the service package, and the other that doesn't.
Or you may define based on the resources and the client’s website. Below are the examples:
- Basic package: providing limited resources but enough for starter sites or small websites.
- Intermediate package: a step-up offering more resources, suitable for growing websites or business.
- Advanced package: comprehensive resources and features for larger business or heavy traffic sites.
Make sure clarity in resource allocations such as disk space, bandwidth, email accounts, and many more. This aims to help customers easily choose the best plan for their needs.
The hosting provider may charge an additional amount to the client, for example, a setup fee (it’s a one-time payment when signing the contract), a domain registration fee, or a cost for managed support - 24/7 support with excellent customer services. In addition, there may be an additional feature to enhance clients’ websites like an extra security feature like SSL certificates which could be included as an additional charge.
You should avoid offering unnecessary features or resources that can increase costs or confuse your customers.
Deciding the Prices:
After you finalize your package, you can set up your pricing based on the value that you’ve stated on the package. Be careful as if you get this wrong your services are unprofitable, and increasing prices later could annoy customers.
When setting the price of your web hosting service, consider the costs of running your web hosting, the value you think you add, and the competitor pricing.
Between two parts of the article: calculated molecules =
~~~
Record 1
This record from the Open Molecules 2025 dataset describes a cluster of 12 separate species, C36H70Br2O8 in total. The level of theory is ωB97M-V/def2-TZVPD.

SMILES: c1ccccc1.c1ccccc1.c1ccccc1.BrCCBr.CCO.CCO.CCO.CCO.CCO.CCO.CCO.CCO
HOMO-LUMO gap (hartree): 0.3487
Highest occupied orbital energy (eV): -9.26
DFT total energy (a.u.): -7163.43639
LUMO energy (Ha): 0.0083
Charge: 0

XYZ file:
```
116
C36H70Br2O8, DFT ωB97M-V/def2-TZVPD
C 0.4442 -1.0917 -0.1792
C 1.0339 -0.1715 0.6328
C 0.3206 0.6646 1.4906
C -1.0341 0.7957 1.3308
C -1.6547 -0.0764 0.4200
C -0.9239 -0.9741 -0.2952
H 0.9785 -1.8347 -0.7527
H 2.1082 -0.1994 0.7395
H 0.8817 1.3722 2.0830
H -1.6886 1.3908 1.9504
H -2.7298 -0.0716 0.3181
H -1.4392 -1.6732 -0.9371
C -3.0078 -4.7656 1.9410
C -1.9218 -4.0100 1.4087
C -0.8507 -3.7343 2.2868
C -0.8862 -4.1957 3.5948
C -1.9710 -4.9321 4.0614
C -3.0044 -5.2487 3.2147
H -3.8757 -4.9530 1.3261
H -1.8903 -3.7133 0.3707
H 0.0076 -3.2242 1.8752
H -0.1614 -3.8746 4.3282
H -2.0655 -5.2836 5.0782
H -3.8476 -5.8078 3.5927
C 7.0699 0.8038 -2.7153
C 5.8871 1.0322 -2.0968
C 5.1843 -0.0824 -1.6995
C 5.6203 -1.3958 -2.0236
C 6.8463 -1.6095 -2.5428
C 7.5524 -0.5004 -2.9664
H 7.5599 1.5766 -3.2890
H 5.4509 1.9819 -1.8246
H 4.3328 0.0823 -1.0559
H 4.9444 -2.2122 -1.8158
H 7.1601 -2.6430 -2.5494
H 8.5538 -0.6040 -3.3575
Br 5.5011 -3.3765 3.0513
C 3.6034 -3.1637 2.6537
C 3.2318 -3.2175 1.1985
Br 3.0525 -5.1354 0.7057
H 3.3206 -2.1940 3.0632
H 2.9578 -3.8447 3.2084
H 3.9311 -2.6648 0.5711
H 2.2462 -2.8167 0.9619
C -3.4804 -0.4855 -5.2518
C -3.6262 -0.7416 -3.7634
O -3.4387 0.4410 -3.1287
H -4.0400 -1.2187 -5.8326
H -2.4747 -0.4974 -5.6719
H -3.9604 0.4809 -5.4059
H -3.0470 -1.5902 -3.3996
H -4.7028 -0.9095 -3.7349
H -2.5300 0.7485 -3.1633
C -0.2027 1.2833 5.6915
C -1.7145 1.3659 5.8433
O -2.0447 0.5127 6.9231
H 0.0001 0.2694 5.3465
H 0.2737 1.3959 6.6654
H 0.1656 1.9749 4.9339
H -2.1787 1.1686 4.8770
H -2.0442 2.3942 5.9912
H -2.9334 0.2049 6.7305
C -3.1047 4.2027 -0.2645
C -3.7974 4.8941 0.8788
O -2.7975 5.4271 1.6434
H -2.4683 4.9141 -0.7908
H -3.9022 3.8113 -0.8961
H -2.4227 3.4275 0.0848
H -4.2885 4.0411 1.3471
H -4.4141 5.7444 0.5875
H -2.2692 4.7724 2.1058
C 2.9526 3.3580 -1.6978
C 2.4583 2.8125 -0.3617
O 3.2037 3.5568 0.5358
H 3.9784 3.7261 -1.7132
H 2.2712 4.1434 -2.0248
H 2.8811 2.4347 -2.2727
H 2.6187 1.7414 -0.2385
H 1.3954 3.0180 -0.2355
H 3.7966 2.8633 0.8343
C 1.7506 -4.0959 -2.7759
C 2.2090 -3.2127 -3.9934
O 1.1166 -3.2347 -4.9006
H 1.6533 -5.0553 -3.2840
H 0.8019 -3.7436 -2.3710
H 2.6015 -4.0916 -2.0947
H 3.0855 -3.6176 -4.4994
H 2.2333 -2.1785 -3.6501
H 1.3988 -2.7589 -5.6852
C 0.3160 0.6525 -4.7657
C 0.3610 1.4259 -3.5072
O -0.9183 1.2170 -2.8912
H 1.2314 0.7566 -5.3482
H -0.4754 1.0113 -5.4238
H 0.0813 -0.3825 -4.5168
H 0.4908 2.5043 -3.5986
H 1.1854 1.1467 -2.8511
H -0.7663 1.3233 -1.9493
C 0.6463 4.4075 2.3645
C -0.0078 5.0171 3.5722
O -1.1062 4.2996 3.8033
H -0.0386 3.9252 1.6671
H 1.2727 3.5562 2.6312
H 1.3320 5.0000 1.7589
~~~
You can always discount pricing also: offering discounts or incentives to increase signup rates is sometimes better than having lower prices to begin with.
## Calculated molecules from another source follow
********
(1)
Computed, not measured: the molecule C6H8OS in a non-equilibrium geometry, with ωB97M-V/def2-TZVPD.

The calculation puts the energy above the lowest of the compared OMol25 structures with the same formula, charge and spin at 370.70 kJ/mol. For the gap between HOMO and LUMO, the calculation gives 9.739 eV. The SMILES is C1=COC[C@@H]2S[C@H]2C1. The value obtained for the lowest unoccupied orbital energy is 0.91 eV. As for the maximum force: 0.1634 hartree/bohr.

ORCA input file:
```
! RIJCOSX wB97M-V def2-TZVPD def2/J DEFGRID3
* xyz 0 1
C 1.57899 1.24118 0.04098
C 2.11417 0.02950 -0.03755
O 1.68519 -1.33034 0.07365
C 0.31245 -1.63800 -0.08433
C -0.55614 -0.47154 0.44798
S -2.27029 -0.09233 -0.05174
C -0.53751 0.62761 -0.31711
C 0.14923 1.80310 0.09578
H 2.31077 2.07810 -0.02815
H 3.16148 0.15835 -0.39921
H 0.15699 -2.66297 0.24874
H -0.05513 -1.77983 -1.21741
H -0.65257 -0.44693 1.61351
H -0.08413 0.29580 -1.36076
H -0.17380 2.15985 1.08357
H -0.18762 2.76657 -0.57615
*
```

Atom charges from the Mulliken analysis, given in e for atoms 1 to 4: -0.1877, -0.1391, -0.3666, -0.4857



(2)
Computed, not measured: a structure of composition C30H19BF16N5O8Y, with ωB97M-V/def2-TZVPD.

The calculation puts the energy above the lowest of the compared OMol25 structures with the same formula, charge and spin at 0.00 kJ/mol. For the gap between HOMO and LUMO, the calculation gives 5.696 eV. The value obtained for the lowest unoccupied orbital energy is 3.57 eV. As for the maximum force: 0.0134 hartree/bohr.

ORCA input file:
```
! RIJCOSX wB97M-V def2-TZVPD def2/J DEFGRID3
* xyz -2 1
Y 0.12941 0.64524 -1.04584
C 2.55510 2.13785 5.87768
C 2.33122 1.58384 4.49919
C 3.09710 0.54468 3.98877
C 2.88021 0.06702 2.71608
C 1.87997 0.57045 1.84872
N 1.74321 0.06623 0.58332
C 2.18646 -1.20800 0.25814
C 2.03683 -2.28568 1.15520
C 2.36917 -3.58050 0.82938
C 2.86934 -3.89010 -0.43085
C 3.21125 -5.29903 -0.82511
C 3.01813 -2.84492 -1.32831
C 2.68728 -1.52026 -1.03692
C 2.94340 -0.39564 -2.07879
O 1.92239 0.47472 -2.19326
C 3.17331 -0.96030 -3.51580
F 3.16843 0.01097 -4.43111
F 4.35668 -1.62161 -3.67632
F 2.19788 -1.81656 -3.86020
C 4.25813 0.34351 -1.66090
F 4.79579 1.05566 -2.67688
F 4.04866 1.20060 -0.66401
F 5.22902 -0.51093 -1.25258
C 1.12671 1.68475 2.35232
C 1.38336 2.12831 3.64654
C 0.12581 2.47557 1.47217
O -0.60192 1.70938 0.63222
C 0.95755 3.49977 0.61045
F 2.00098 4.02784 1.27175
F 0.23045 4.52074 0.13861
F 1.45581 2.85537 -0.47301
C -0.89705 3.30384 2.30305
F -1.89444 3.75212 1.54498
F -0.36102 4.40022 2.91094
F -1.45695 2.55496 3.27582
H 3.17131 1.46005 6.47262
H 1.61757 2.28466 6.41974
H 3.06590 3.10546 5.85832
H 3.88944 0.10507 4.58834
H 3.52480 -0.71578 2.34143
H 1.61455 -2.07983 2.13066
H 2.22571 -4.36597 1.56598
H 3.34814 -5.93457 0.05228
H 4.13369 -5.33852 -1.40764
H 2.42788 -5.75509 -1.43692
H 3.41945 -3.08210 -2.30177
H 0.82002 2.96736 4.02633
O -2.37050 -2.53921 -2.68688
C -2.23604 -1.35477 -2.39060
O -1.14824 -0.71045 -2.26098
********
Tiered pricing is one value-based pricing strategy that you might implement. Charge gradually more when packaging various levels of service to make a profit on the following value gains. For example;
If you offer shared hosting and resources, charge $2.95. $5.95, and $9.95 per month, respectively. You can offer a 50% discount for the first year, and a free domain name for a year.
If you offer VPS hosting, cloud hosting, or dedicated hosting, you can offer more customized and flexible plans, with different features and resources, and charge according to the usage or demand of your customers.
Those are some of the steps to create a package, price, and plan for a web hosting business. If you are enthusiastic about starting a web hosting business, you can check out our blog series.